So here it is Sunday evening at elevation 396 feet. I spent the afternoon shaking almost two feet of wet, heavy snow off shrubs. I know, I should have been wearing a hair shirt. This activity felt like penance for loving challenging kinds of ornamental plants.
== The entry is interrupted by data records ==
# 1
The following is a DFT calculation (the ωB97M-V functional and the def2-TZVPD basis) of 7 unconnected molecules or ions with the total composition C14H36FN2O10P.

The SMILES is N#C[C@@H](CCCCO)[C@@](F)(C#N)P(=O)(O)O.CO.CO.CO.CO.CO.CO. For the gap between HOMO and LUMO, the calculation gives 0.356 Eh.

```
64
C14H36FN2O10P the ωB97M-V functional and the def2-TZVPD basis
N 1.49079 -0.31322 0.76404
C 0.61558 0.37822 0.48768
C -0.54062 1.22218 0.17367
C -0.09981 2.67475 -0.13504
C 0.32367 2.99152 -1.59059
C 1.83532 3.05825 -1.81329
C 2.53081 1.70207 -1.84363
O 3.36916 1.62407 -0.68661
C -1.38198 0.48251 -0.89433
F -0.59431 0.03947 -1.93327
C -1.91899 -0.74179 -0.25189
N -2.29241 -1.72042 0.22369
P -2.83664 1.42383 -1.64715
O -2.61060 1.72550 -3.06041
O -3.14462 2.66828 -0.72123
O -4.10952 0.53084 -1.34511
H -1.14044 1.21601 1.08745
H 0.75034 2.88500 0.51417
H -0.88022 3.35676 0.18721
H -0.07031 3.98240 -1.83185
H -0.12623 2.31266 -2.31023
H 2.30642 3.68322 -1.05582
H 1.99017 3.55877 -2.77110
H 3.14029 1.59378 -2.73919
H 1.79422 0.89379 -1.85549
H 3.62100 0.70664 -0.53656
H -2.75182 3.44913 -1.14233
H -4.12202 -0.25178 -1.91587
C 1.82554 -2.24748 -2.30290
O 2.28901 -2.15662 -3.64307
H 2.67463 -2.05164 -1.65196
H 1.05151 -1.50338 -2.10113
H 1.43525 -3.24413 -2.07645
H 1.54033 -2.31415 -4.23045
C -0.61287 -2.44183 3.80816
O -1.91260 -2.76127 3.32140
H -0.44891 -3.02787 4.70924
H 0.16192 -2.69037 3.07854
H -0.53673 -1.38078 4.06496
H -2.05579 -2.25124 2.51759
C -2.92935 -2.33135 6.74408
O -2.02111 -1.28589 7.09858
H -2.51546 -3.25936 7.12838
H -3.91078 -2.16620 7.19405
H -3.02700 -2.40651 5.65930
H -2.37871 -0.46012 6.75893
C 3.37143 1.63902 -6.44465
O 3.17604 1.12003 -5.13445
H 2.62638 2.41648 -6.59512
H 4.36536 2.07942 -6.55892
H 3.23058 0.86776 -7.20593
H 3.82416 0.42400 -4.99024
C 1.19982 0.10363 7.36359
O 0.46775 -0.45276 8.44023
H 2.23800 0.18303 7.67948
H 1.15419 -0.53422 6.47487
H 0.84234 1.10551 7.10192
H -0.45232 -0.52982 8.15820
C -1.70357 -1.91509 -4.28344
O -0.95580 -3.08148 -4.61935
H -1.21959 -1.06144 -4.74901
H -2.72843 -1.98964 -4.65693
H -1.71650 -1.76632 -3.20100
H -1.37904 -3.84044 -4.20768
```



# 2
The following is a DFT calculation (the ωB97M-V functional and the def2-TZVPD basis) of a molecular structure, C40H45IN2OPdSeSi.

The calculation puts the energy above the lowest of the compared OMol25 structures with the same formula, charge and spin at 122.7 kJ/mol. The total charge is -2. As for the spin multiplicity: 5. For the gap between HOMO and LUMO (spin up / spin down), the calculation gives 0.182 / 0.155 Eh. Its expectation value of S² is 6.085.

```
92
C40H45IN2OPdSeSi the ωB97M-V functional and the def2-TZVPD basis
Pd 14.72827 13.70497 14.19314
I 14.81369 13.44830 17.07215
C 16.82902 13.97754 17.13158
C 17.39054 14.31988 18.35040
C 18.75050 14.73238 18.38204
C 19.50917 14.71148 17.24050
C 18.95311 14.34525 15.98963
C 19.67058 14.19440 14.82305
C 19.08056 13.97453 13.59210
C 17.71774 13.71425 13.55460
== The entry goes on ==
But love them I do, and shake off the snow I will. The snow has turned to rain and the branches will probably break without my attention. Not on my watch.
The spruce were shedding the accumulation with ease and I hope that if you are planning your landscape you will include these stalwarts that we are surrounded by. They work. They grow two feet a year. They offer privacy to your property. They block the wind but also the sun, so think about that. Do make room for them.
I strongly recommend using our excellent nurseries right here on the Lower Peninsula to buy strong, healthy starts that will almost guarantee success in your garden endeavors. They are all, each and every single one of them, excellent. We are very lucky gardeners indeed.
I am now going to go where not all of you need follow: seed starting. That said, I am now ready to turn on the grow lights in the guest room and get seedlings started. The list is unexpectedly short. I only start those plants that need time to germinate or time to mature. More time than we have at latitude 59.5 north.
Into individual cells filled with a moist sterile potting mix I will start four kinds of tomatoes. The selection this year includes, as usual: Brandywine, Japanese Black Trifele, Sungold and one that I haven’t had in many years — a yellow pear. I’m looking forward to each and every single bite.
I also will plant four lettuce seeds, one in each cell. This will begin the cycle of planting four seeds every ten days now through the growing season. This seems to supply us with plenty of salad makings, starting with harvesting in the greenhouse.
Green globe artichoke will also be seeded into individual cells. I like to have two of these plants in the plot. They are huge, taking more then their share of room when you consider the amount of actual food they produce. But why not? They produce delicious ’chokes, far better than store bought and they are doable. Can’t beat that.
Now comes the really easy part: broadcasting. This involves moist sterile potting mix that I sprinkle seed over, cover with a thin layer of more potting mix, and keep moist. This planting will include onions, shallots and leeks. That takes care of the vegetables that need more time than is fair.
For flowers you will really need to get a jump on pansies. Leave the seed packets in the refrigerator for a week or so before you plant them, it aids in the germination. It seems like an unnecessary step but it works wonders. Considering the price of a packet of pansy seeds you want as many of them to make it as possible.
## Unrelated to this article: molecular data
+++
The following is a DFT calculation (ωB97M-V/def2-TZVPD) of a structure of composition C32H21BrF5N3O2RuS.

Each line ends with the natural charge from an NBO analysis.
Positions of all 66 atoms, in Å:
1 Ru -0.33 0.48 1.54  0.952
2 C -3.50 0.66 -1.10  -0.647
3 C -2.99 1.13 0.23  0.007
4 C -3.28 0.43 1.40  -0.179
5 C -2.83 0.91 2.63  -0.222
6 C -2.10 2.09 2.72  -0.228
7 C -1.77 2.78 1.55  -0.205
8 C -2.20 2.28 0.32  -0.233
9 H -2.80 0.88 -1.90  0.224
10 H -4.44 1.17 -1.34  0.250
11 H -3.71 -0.41 -1.10  0.230
12 H -3.87 -0.48 1.36  0.234
13 H -3.10 0.37 3.53  0.248
14 H -1.82 2.47 3.69  0.256
15 H -1.21 3.70 1.61  0.248
16 H -1.94 2.81 -0.59  0.236
17 F -1.31 -4.23 6.19  -0.267
18 C -0.75 -3.56 5.19  0.279
19 C -1.54 -2.90 4.27  0.317
20 F -2.87 -2.93 4.37  -0.287
21 C -0.93 -2.21 3.24  0.282
22 F -1.72 -1.56 2.36  -0.323
23 C 0.45 -2.13 3.10  -0.297
24 S 1.19 -1.24 1.78  0.090
25 C 1.21 -2.79 4.05  0.346
26 F 2.54 -2.74 3.99  -0.279
27 C 0.63 -3.51 5.08  0.285
28 F 1.39 -4.13 5.98  -0.269
29 Br 3.99 2.66 7.26  0.100
30 C 3.62 3.00 5.45  -0.079
31 C 4.36 3.96 4.76  -0.193
32 C 4.10 4.21 3.42  -0.199
33 C 3.11 3.50 2.76  -0.170
34 C 2.38 2.54 3.46  -0.121
35 C 2.63 2.28 4.81  -0.205
36 C 1.33 1.77 2.78  0.774
37 O 1.17 1.82 1.51  -0.604
38 O 0.52 1.02 3.40  -0.620
39 H 5.13 4.52 5.28  0.241
40 H 4.67 4.96 2.90  0.232
41 H 2.91 3.67 1.71  0.230
42 H 2.06 1.53 5.33  0.249
43 N 0.55 -0.36 -5.56  -0.539
44 C 0.43 -1.08 -6.72  0.180
45 C 0.79 -0.81 -8.04  -0.264
46 C 0.52 -1.80 -8.96  -0.181
47 C -0.10 -3.01 -8.60  -0.219
48 C -0.45 -3.27 -7.29  -0.173
49 C -0.18 -2.29 -6.34  0.053
50 N -0.42 -2.28 -4.98  -0.411
51 C 0.02 -1.13 -4.56  0.290
52 C -0.05 -0.72 -3.16  0.106
53 C 0.44 0.49 -2.68  -0.258
54 C 0.33 0.79 -1.34  0.061
55 N -0.23 -0.06 -0.47  -0.450
56 C -0.69 -1.24 -0.91  0.063
57 C -0.63 -1.60 -2.23  -0.228
58 H 0.95 0.56 -5.48  0.418
59 H 1.26 0.12 -8.33  0.224
60 H 0.77 -1.64 -10.00  0.225
61 H -0.29 -3.75 -9.36  0.226
62 H -0.91 -4.20 -7.00  0.231
63 H 0.92 1.21 -3.33  0.228
64 H 0.70 1.72 -0.93  0.234
65 H -1.11 -1.90 -0.17  0.230
66 H -1.01 -2.55 -2.57  0.271

expectation value of S²	0.76
orbital gap (spin up / spin down)	0.268 / 0.232	hartree
spin multiplicity	2
HOMO energy (spin up / spin down)	-10.924 / -10.896	eV
charge	+1


The following is a DFT calculation (ωB97M-V/def2-TZVPD) of a cluster of 2 separate species, C9H13N3S in total at a distorted geometry.

Each line ends with the natural charge from an NBO analysis.
Positions of all 26 atoms, in Å:
1 C 1.00 0.05 -1.59  0.211
2 C 1.25 -1.79 1.60  -0.308
3 C 0.67 -3.05 1.67  -0.031
4 C -0.18 -2.14 -0.15  -0.034
5 C 0.59 -1.20 0.38  -0.144
6 C 1.23 2.44 -0.33  -0.423
7 C 0.41 1.40 1.80  -0.420
8 C -2.90 0.91 -2.11  -0.779
9 C 0.86 0.05 -0.23  0.061
10 N 1.12 -0.03 -2.73  -0.332
11 N -0.20 -3.28 0.68  -0.527
12 N 0.99 1.23 0.45  -0.331
13 S -2.23 1.39 -0.50  -0.003
14 H 2.01 -1.45 2.26  0.229
15 H 0.83 -3.80 2.43  0.210
16 H -0.70 -1.95 -1.18  0.235
17 H 2.18 2.55 -0.92  0.217
+++
Read the seed packets, informing yourself of the needs of the plants, i.e. how long to germination, how long to maturation. This will give you the information you need to decide when to start a particular variety.
I like to lightly cover the seed trays with plastic wrap. This will keep the surface from drying out and that really spells doom for germinating seeds and the subsequent seedlings. Moist, not wet. A fine line.
**Next to the page, the page also holds molecular data**
<<<
8
Properties=species:S:1:pos:R:3:forces:R:3:nbo_charge:R:1 method="wB97M-V/def2-TZVPD" charge=-1 lumo_ev="3.4 / 3.4" e_tot_ha=-622.7337 homo_ev="-3.551 / -3.551" fmax_ev_per_a=3.74 gap_ev="6.98 / 6.98" mol_weight_g_mol=91.1 e_above_lowest_kcal_mol=37.8
C -0.256 0.214 1.120 0.34 -0.56 -0.03 -0.479
N -0.217 0.510 -0.304 -0.63 1.26 0.76 -0.307
N 0.227 -0.339 -1.063 0.75 0.58 -3.62 0.310
O 0.673 -1.467 -0.847 -0.15 -0.10 0.64 -0.521
S 0.393 0.654 -3.350 -0.17 -1.09 2.15 -0.569
H -1.168 -0.338 1.364 -0.01 -0.04 0.08 0.187
H 0.604 -0.395 1.423 -0.07 0.01 0.08 0.191
H -0.256 1.163 1.657 -0.05 -0.07 -0.06 0.187
>>>
**So much for the molecular data**
The lights are left on 24/7. As the seedlings appear the lights get moved up incrementally, too close and the tender leaves will get too dry, too far and the plant is reaching, resulting in a spindly, weak seedling that will struggle to survive once introduced to the realities of a Homer summer. Which is why you really need to consider buying your starts.
On a completely different tack: Check out your house plants. They may be needing some attention. This would be a good time to take them to the bathtub and give them a good shower. Check leaves that have yellowed and need to be removed. Feed them something lovely and you will be rewarded with plants that will respond to our lengthening days. Excellent.
It may seem unlikely but we are on the cusp of the gardening season. Carpe diem.
Note: Do not fear the snow. It will add much needed moisture to the overall environment. Plus it will protect the perennials that had broken dormancy and were on their way to greet spring.
Homer Garden Club meets 2 p.m. Sunday at the Bidarka conference room. Teena Garay will present. Do attend these meetings. This is an excellent opportunity to meet gardeners who just may be your neighbors. Nothing like getting pertinent information.
Rosemary Fitzpatrick is a longtime Homer gardener.